There is a discount on the Gatsby hair cream
– buy 1 item get 50% discount on next item.
– there is no offer on ‘Bvlgiri soap’.
Let’s implement our IOffer for the discount offer class- DiscountOnNextItemOffer
package com.tdd.shoppingcart; public class DiscountOnNextItemOffer implements IOffer { private double discountPercentage; public DiscountOnNextItemOffer(double discountPercentage) { this.discountPercentage = discountPercentage; } @Override public void applyOffer(Product product) { } // get/set }
<<<
Entry 1:
VASP calculation (PBE) on crystalline Sm9Ni26P12 at its relaxed geometry.

Cell and atoms, written as extended XYZ:
```
47
Lattice="-4.100 13.647 -1.912 3.588 -8.083 -11.335 -3.682 -1.154 -0.342" Properties=species:S:1:pos:R:3 pbc="T T T"
Sm 1.034 -6.643 -10.632
Sm -2.720 3.084 -3.060
Sm -4.476 8.928 -3.879
Sm -2.939 5.467 -8.733
Sm 1.305 -1.069 -10.432
Sm -1.925 3.204 -12.011
Sm 1.445 -2.588 -6.814
Sm -1.555 -0.811 -2.452
Sm 0.325 1.138 -7.336
P 0.612 1.805 -12.674
P -0.357 3.989 -9.612
P -2.198 2.491 -6.671
P -1.099 -1.184 -6.098
P -0.106 -3.421 -9.235
P 2.590 -5.818 -8.238
P -0.127 1.493 -3.671
P -3.850 6.213 -1.450
P -4.086 8.775 -7.551
P -1.241 0.355 -9.764
P 2.451 -4.315 -11.816
P 0.981 -2.193 -3.154
Ni -1.825 8.178 -7.949
Ni -0.987 0.237 -12.095
Ni 0.219 -3.778 -11.533
Ni -2.277 7.878 -2.070
Ni -1.366 6.263 -6.423
Ni -3.686 7.107 -6.234
Ni -0.696 -2.923 -4.571
Ni 0.587 -0.481 -4.691
Ni -2.866 4.378 -5.852
Ni -0.810 5.807 -10.872
Ni -1.819 0.813 -5.094
Ni -1.585 5.573 -1.747
Ni -3.358 11.548 -2.822
Ni -0.598 4.094 -7.377
Ni -0.816 -1.417 -8.365
Ni -3.583 5.994 -3.586
Ni 0.000 0.000 0.000
Ni -1.280 5.333 -4.208
Ni 0.368 1.898 -10.354
Ni -1.966 7.615 -4.527
Ni 2.121 -3.936 -9.537
Ni -0.511 3.154 -5.140
Ni -1.970 2.450 -8.992
Ni -0.446 1.856 -1.464
Ni -2.431 9.543 -6.035
Ni 0.359 -5.301 -7.906
```

Entry 2:
VASP calculation (PBE) on crystalline SmNiP at its relaxed geometry.

Cell and atoms, written as extended XYZ:
```
12
Lattice="-1.972 -3.416 0.000 -1.972 3.416 0.000 0.000 0.000 -15.876" Properties=species:S:1:pos:R:3 pbc="T T T"
P -1.972 1.139 -5.954
P -1.972 -1.139 -13.891
P -1.972 -1.139 -9.922
P -1.972 1.139 -1.984
Ni -1.972 -1.139 -2.020
Ni -1.972 -1.139 -5.918
Ni -1.972 1.139 -9.957
Ni -1.972 1.139 -13.856
Sm 0.000 0.000 -3.969
Sm 0.000 0.000 -11.907
Sm 0.000 0.000 -7.938
Sm 0.000 0.000 0.000
```

Entry 3:
VASP calculation (PBE) on crystalline SmNi2P2 at its relaxed geometry.

Cell and atoms, written as extended XYZ:
```
5
Lattice="2.164 -2.950 4.092 3.326 2.448 3.616 -4.928 0.861 -2.260" Properties=species:S:1:pos:R:3 pbc="T T T"
Ni -0.009 -1.170 2.843
Ni 0.572 1.529 2.605
Sm 0.000 0.000 0.000
P 2.056 -0.188 2.887
P 3.434 -0.314 4.821
```

Entry 4:
VASP calculation (PBE) on crystalline Sm6Ni20P13 at its relaxed geometry.

Cell and atoms, written as extended XYZ:
```
39
Lattice="6.390 -11.068 0.000 6.390 11.068 0.000 0.000 0.000 3.816" Properties=species:S:1:pos:R:3 pbc="T T T"
P 7.991 5.302 0.000
P 6.986 1.497 0.000
P 8.589 -4.283 1.908
P 7.583 -8.018 1.908
P 0.000 0.000 0.000
P 9.543 -0.493 1.908
P 5.192 7.964 0.000
P 10.692 2.590 0.000
P 4.194 4.270 0.000
P 3.287 0.514 0.000
P 2.046 -2.558 1.908
P 5.804 -1.488 1.908
P 4.777 -5.297 1.908
Ni 10.321 -2.706 1.908
Ni 2.922 4.550 1.908
Ni 1.813 -1.149 0.000
Ni 7.437 7.550 0.000
Ni 9.847 -4.597 0.000
Ni 8.870 6.262 1.908
Ni 6.390 3.689 0.000
Ni 11.353 0.891 1.908
Ni 3.573 -0.777 1.908
Ni 5.277 -7.585 1.908
Ni 5.448 -0.242 0.000
Ni 7.379 0.255 1.908
Ni 1.485 0.791 1.908
>>>
The materials data stop here =
Requirement: Apply discount on shopping cart
When: Add 2 unit of ‘Gatsby hair cream’, unit price 30 Rupees.
– The product count of cart should be 1.
# Materials data, kept here for reference
=====
(1)
Ce2Mn3Al | PBE | relaxed

Cell: 5.3851 5.3851 8.4517 Å, 90.00 90.00 120.00°
Space group P6_3/mmc (No. 194)
Inequivalent atoms, fractional coordinates:
Ce1 0.3333 0.6667 0.0710 [4 per cell]
Mn1 0.1709 0.3418 0.7500 [6 per cell]
Al1 0.0000 0.0000 0.0000 [2 per cell]

Output
The value obtained for the formation energy is -60 meV/atom. For the volume, the calculation gives 17.7 A^3/atom. The total energy is -7.2434 eV/atom. The total magnetic moment is 5.8 μB per formula unit.

=====

(2)
La5Pb3O | PBE | relaxed

Cell: 8.806 8.806 14.701 Å, 90.00 90.00 90.00°
Space group I4cm (No. 108)
Inequivalent atoms, fractional coordinates:
La1 0.000 0.000 0.000 [4 per cell]
La2 0.151 0.349 0.141 [8 per cell]
La3 0.151 0.349 0.839 [8 per cell]
Pb1 0.000 0.000 0.241 [4 per cell]
Pb2 0.145 0.355 0.490 [8 per cell]
O1 0.000 0.500 0.240 [4 per cell]

Output
The value obtained for the formation energy is -1233 meV/atom. For the volume, the calculation gives 31.7 A^3/atom. The total energy is -5.6864 eV/atom. The total magnetic moment is 0.6 μB per formula unit.

=====

(3)
K7H12Pt4C16N16O6 | PBE | relaxed

Cell: 9.814 10.292 11.056 Å, 102.00 109.15 106.40°
Space group P1 (No. 1)
Inequivalent atoms, fractional coordinates:
K1 0.000 0.000 0.000 [1 per cell]
K2 0.002 0.846 0.607 [1 per cell]
K3 0.023 0.155 0.401 [1 per cell]
K4 0.287 0.570 0.679 [1 per cell]
K5 0.378 0.267 0.867 [1 per cell]
K6 0.642 0.731 0.143 [1 per cell]
K7 0.736 0.431 0.330 [1 per cell]
H1 0.264 0.403 0.370 [1 per cell]
H2 0.283 0.840 0.881 [1 per cell]
H3 0.356 0.080 0.067 [1 per cell]
H4 0.361 0.217 0.159 [1 per cell]
H5 0.386 0.376 0.481 [1 per cell]
H6 0.395 0.925 0.830 [1 per cell]
H7 0.628 0.075 0.178 [1 per cell]
H8 0.637 0.624 0.527 [1 per cell]
H9 0.649 0.778 0.846 [1 per cell]
H10 0.651 0.913 0.939 [1 per cell]
H11 0.738 0.162 0.126 [1 per cell]
H12 0.759 0.596 0.639 [1 per cell]
Pt1 0.012 0.501 0.004 [1 per cell]
Pt2 0.248 0.745 0.262 [1 per cell]
Pt3 0.512 0.000 0.504 [1 per cell]
Pt4 0.775 0.257 0.746 [1 per cell]
C1 0.053 0.284 0.166 [1 per cell]
C2 0.075 0.631 0.436 [1 per cell]
C3 0.100 0.847 0.239 [1 per cell]
C4 0.192 0.501 0.955 [1 per cell]
C5 0.348 0.037 0.561 [1 per cell]
C6 0.390 0.635 0.281 [1 per cell]
C7 0.419 0.911 0.111 [1 per cell]
C8 0.475 0.230 0.358 [1 per cell]
C9 0.548 0.770 0.649 [1 per cell]
C10 0.606 0.090 0.898 [1 per cell]
C11 0.632 0.366 0.728 [1 per cell]
C12 0.675 0.964 0.447 [1 per cell]
C13 0.832 0.500 0.053 [1 per cell]
C14 0.924 0.156 0.767 [1 per cell]
C15 0.948 0.370 0.572 [1 per cell]
C16 0.975 0.721 0.846 [1 per cell]
N1 0.007 0.899 0.227 [1 per cell]
N2 0.017 0.104 0.777 [1 per cell]
N3 0.040 0.364 0.104 [1 per cell]
N4 0.148 0.663 0.373 [1 per cell]
N5 0.252 0.064 0.590 [1 per cell]
N6 0.298 0.507 0.928 [1 per cell]
=====
# Here the article continues
– The total price of product should be 45.
– The total value of cart should be 45.0 rupees.
Add a test for above requirement to the test class.
@Test public void testApplyBuyOneGetFiftyPercentDiscountOnNextOfferToTheCart(){ IOffer offer = new DiscountOnNextItemOffer(50.0); ShoppingCart cart = new ShoppingCart(); cart.setOffer(offer); Product gatsByCream = new Product("Gatsby hair cream", 2, 60.0); cart.addProduct(gatsByCream ); Assert.assertEquals(1, cart.getProductCount()); Assert.assertEquals(45.0, cart.getProductByName("Gatsby hair cream").getTotalPrice(),0.0); Assert.assertEquals(45.0, cart.getTotalCartValue(),0.0); }
The test will have compilation error since we don’t have getProductByname() method in ShoppingCart. Let’s add the method to the ShoppingCart.
public Product getProductByName(String name) { if (productList.size() > 0) { for (Product product : productList) { if (product.getProductName().equals(name)) { return product; } } } return null; }
Now If you run the test, it will fail since we have not added any logic for % discount. Refactor the DiscountOnNextItemOffer class.
package com.tdd.shoppingcart; public class DiscountOnNextItemOffer implements IOffer { private double discountPercentage; public DiscountOnNextItemOffer(double discountPercentage) { this.discountPercentage = discountPercentage; } @Override public void applyOffer(Product product) { int totalQuantity = product.getQuantity(); double unitPrice = product.getTotalPrice() / product.getQuantity(); while (totalQuantity > 1) { double price = product.getTotalPrice(); product.setTotalPrice(price - (unitPrice / (100/discountPercentage))); totalQuantity = totalQuantity - 2; } } // get/set }
Now run the test. It will pass without any problem.
Requirement: Apply discount on shopping cart
When: Add 5 unit of ‘Gatsby hair cream’, unit price 30 Rupees.
– The product count of cart should be 1.
– The total price of product should be 120.
– The total value of cart should be 120.0 rupees.
Add test for the above requirements.
@Test public void testApplyBuyOneGetFiftyPercentDiscountOnNextOfferToTheMultipleProductsInCart(){ IOffer offer = new DiscountOnNextItemOffer(50.0); ShoppingCart cart = new ShoppingCart(); cart.setOffer(offer); Product gatsByCream = new Product("Gatsby hair cream", 5, 150.0); cart.addProduct(gatsByCream); Assert.assertEquals(1, cart.getProductCount()); Assert.assertEquals(120.0, cart.getProductByName("Gatsby hair cream").getTotalPrice(),0.0); Assert.assertEquals(120.0, cart.getTotalCartValue(),0.0); }
The test will pass without any refactoring.
This is all. Here my aim was to give you a feel of TDD. The presented design may not be optimum and further refactoring may be required. You can keep adding your requirements and follow the cycle- Write failing Test – Write code to make test pass – refactor for the best possible design.
To know more about TDD you can read following books:
(Someone pasted records of crystals at this point)
********
# 1
Computed, not measured: a geometry-optimized BaGePbO4 structure at the meta-GGA r2SCAN level of DFT.

Cell: 6.2557 7.6857 10.2403 Å, 90.00 90.00 90.00°
Closest atoms and distances in Å follow each position.
Fractional coordinates of all 28 atoms:
1 Ba 0.0236 0.2495 0.2134  8 O 2.65-2.93
2 Ba 0.4764 0.7505 0.7134  8 O 2.65-2.93
3 Ba 0.5236 0.2505 0.7866  8 O 2.65-2.93
4 Ba 0.9764 0.7495 0.2866  8 O 2.65-2.93
5 Ge 0.0187 0.9588 0.5901  4 O 1.74-1.78
6 Ge 0.4813 0.0412 0.0901  4 O 1.74-1.78
7 Ge 0.5187 0.5412 0.4099  4 O 1.74-1.78
8 Ge 0.9813 0.4588 0.9099  4 O 1.74-1.78
9 Pb 0.0683 0.4490 0.5912  3 O 2.26-2.31
10 Pb 0.4317 0.5510 0.0912  3 O 2.26-2.31
11 Pb 0.5683 0.0510 0.4088  3 O 2.26-2.31
12 Pb 0.9317 0.9490 0.9088  3 O 2.26-2.31
13 O 0.0652 0.5508 0.0601  1 Ge 1.77
14 O 0.0867 0.7387 0.5555  1 Ge 1.78
15 O 0.1999 0.4837 0.8006  1 Ge 1.78
16 O 0.2420 0.0502 0.6654  1 Ge 1.74
17 O 0.2580 0.9498 0.1654  1 Ge 1.74
18 O 0.3001 0.5163 0.3006  1 Ge 1.78
19 O 0.4133 0.2613 0.0555  1 Ge 1.78
20 O 0.4348 0.4492 0.5601  1 Ge 1.77
21 O 0.5652 0.9492 0.9399  1 Ge 1.77
22 O 0.5867 0.7613 0.4445  1 Ge 1.78
23 O 0.6999 0.0163 0.1994  1 Ge 1.78
24 O 0.7420 0.4498 0.3346  1 Ge 1.74
25 O 0.7580 0.5502 0.8346  1 Ge 1.74
26 O 0.8001 0.9837 0.6994  1 Ge 1.78
27 O 0.9133 0.2387 0.9445  1 Ge 1.78
28 O 0.9348 0.0508 0.4399  1 Ge 1.77

Total magnetic moment: 0.00 μB/cell
VASP energy: -19.351 eV per atom
E_form: -2.130 eV per atom



# 2
Computed, not measured: a geometry-optimized K5As2Au structure at the meta-GGA r2SCAN level of DFT.

Cell: 5.7264 5.7264 19.2852 Å, 90.00 90.00 120.00°
Closest atoms and distances in Å follow each position.
Fractional coordinates of all 16 atoms:
1 K 0.0000 0.0000 0.1473  3 As 3.35
2 K 0.0000 0.0000 0.3527  3 As 3.35
3 K 0.0000 0.0000 0.6473  3 As 3.35
4 K 0.0000 0.0000 0.8527  3 As 3.35
5 K 0.3333 0.6667 0.0494  4 As 3.28-3.58
6 K 0.3333 0.6667 0.2500  3 Au 3.31
7 K 0.3333 0.6667 0.4506  4 As 3.28-3.58
8 K 0.6667 0.3333 0.5494  4 As 3.28-3.58
9 K 0.6667 0.3333 0.7500  3 Au 3.31
10 K 0.6667 0.3333 0.9506  4 As 3.28-3.58
11 As 0.3333 0.6667 0.6209  1 Au 2.49
12 As 0.3333 0.6667 0.8791  1 Au 2.49
13 As 0.6667 0.3333 0.1209  1 Au 2.49
14 As 0.6667 0.3333 0.3791  1 Au 2.49
15 Au 0.3333 0.6667 0.7500  2 As 2.49
16 Au 0.6667 0.3333 0.2500  2 As 2.49

Total magnetic moment: 0.00 μB/cell
VASP energy: -14.327 eV per atom
E_form: -0.566 eV per atom
********
(The page goes on)
Growing Object Oriented Software Guided By Tests
Test Driven Development By Example
Test Driven